[What to do]
Please print the rows further below from the line with "0.2461 0.4532" to the end exactly.

[Given]
Record 1
# As2Pb4S6ICl PBEsol optimized geometry
data_As2Pb4S6ICl
_symmetry_space_group_name_H-M 'P m n 21'
_symmetry_Int_Tables_number 31
_symmetry_space_group_name_Hall 'P 2ac -2'
_cell_length_a 6.5896
_cell_length_b 11.4255
_cell_length_c 9.2709
_cell_angle_alpha 90.00
_cell_angle_beta 90.00
_cell_angle_gamma 90.00
loop_
_atom_site_label
_atom_site_fract_x
_atom_site_fract_y
_atom_site_fract_z
As1 0.0000 0.1726 0.0000
As2 0.0000 0.6746 0.5699
Pb1 0.0000 0.3768 0.3493
Pb2 0.0000 0.4155 0.8118
Pb3 0.0000 0.8783 0.2237
Pb4 0.0000 0.9295 0.7405
S1 0.0000 0.1498 0.2406
S2 0.0000 0.6511 0.3283
S3 0.2461 0.4532 0.1149
S4 0.2491 0.9567 0.4513
I1 0.0000 0.7022 0.9368
Cl1 0.0000 0.2047 0.6483
# uncorrected formation energy	-0.46	eV per atom
# M_tot	0.00	Bohr magnetons per cell
# ρ	6.34	Mg/m³
# DFT total energy	-4.485	eV/atom


Record 2
# SbAsI2Cl PBEsol optimized geometry
data_SbAsI2Cl
_symmetry_space_group_name_H-M 'P 4/m m m'
_symmetry_Int_Tables_number 123
_symmetry_space_group_name_Hall '-P 4 2'
_cell_length_a 5.5195
_cell_length_b 5.5195
_cell_length_c 5.3413
_cell_angle_alpha 90.00
_cell_angle_beta 90.00
_cell_angle_gamma 90.00
loop_
_atom_site_label
_atom_site_fract_x
_atom_site_fract_y
_atom_site_fract_z
Sb1 0.0000 0.0000 0.0000
As1 0.5000 0.5000 0.0000
I1 0.0000 0.5000 0.5000
Cl1 0.0000 0.0000 0.5000
# offset from the most stable computed form	595	meV/atom
# uncorrected formation energy	0.92	eV per atom
# M_tot	1.01	Bohr magnetons per cell
# ρ	4.96	Mg/m³
# DFT total energy	-2.121	eV/atom


Record 3
# SbAsI2Cl PBEsol optimized geometry
data_SbAsI2Cl
_symmetry_space_group_name_H-M 'P 4/m m m'
_symmetry_Int_Tables_number 123
_symmetry_space_group_name_Hall '-P 4 2'
_cell_length_a 5.4452
_cell_length_b 5.4452
_cell_length_c 5.5439
_cell_angle_alpha 90.00
_cell_angle_beta 90.00
_cell_angle_gamma 90.00
loop_
_atom_site_label
_atom_site_fract_x
_atom_site_fract_y
_atom_site_fract_z
Sb1 0.0000 0.0000 0.0000
As1 0.0000 0.0000 0.5000
I1 0.0000 0.5000 0.5000
Cl1 0.5000 0.5000 0.0000
# offset from the most stable computed form	0	meV/atom
# uncorrected formation energy	0.32	eV per atom
# M_tot	0.01	Bohr magnetons per cell
# ρ	4.91	Mg/m³
# DFT total energy	-2.716	eV/atom


Record 4
# As2SeICl PBEsol optimized geometry
data_As2SeICl
_symmetry_space_group_name_H-M 'P 4/m m m'
_symmetry_Int_Tables_number 123
_symmetry_space_group_name_Hall '-P 4 2'
_cell_length_a 5.0216
_cell_length_b 5.0216
_cell_length_c 4.9054
_cell_angle_alpha 90.00
_cell_angle_beta 90.00
_cell_angle_gamma 90.00
loop_
_atom_site_label
_atom_site_fract_x
_atom_site_fract_y
_atom_site_fract_z
As1 0.0000 0.5000 0.0000
Se1 0.0000 0.0000 0.5000
I1 0.5000 0.5000 0.5000
Cl1 0.0000 0.0000 0.0000
# uncorrected formation energy	0.97	eV per atom
# M_tot	0.00	Bohr magnetons per cell
# ρ	5.25	Mg/m³
# DFT total energy	-2.593	eV/atom


Record 5
# SiAsICl2 PBEsol optimized geometry
data_SiAsICl2
_symmetry_space_group_name_H-M 'P 4/m m m'
_symmetry_Int_Tables_number 123
_symmetry_space_group_name_Hall '-P 4 2'
_cell_length_a 4.5441
_cell_length_b 4.5441
_cell_length_c 5.4404
_cell_angle_alpha 90.00
_cell_angle_beta 90.00
_cell_angle_gamma 90.00
loop_
_atom_site_label
_atom_site_fract_x
_atom_site_fract_y
_atom_site_fract_z
Si1 0.0000 0.0000 0.0000
As1 0.0000 0.0000 0.5000
I1 0.5000 0.5000 0.5000
Cl1 0.0000 0.5000 0.0000
# uncorrected formation energy	-0.13	eV per atom
# M_tot	0.00	Bohr magnetons per cell
# ρ	4.45	Mg/m³
# DFT total energy	-3.454	eV/atom


Record 6
# InAs2Cl PBEsol optimized geometry
data_InAs2Cl
_symmetry_space_group_name_H-M 'F m -3 m'
_symmetry_Int_Tables_number 225
_symmetry_space_group_name_Hall '-F 4 2 3'
_cell_length_a 6.8229
_cell_length_b 6.8229
_cell_length_c 6.8229
_cell_angle_alpha 90.00
_cell_angle_beta 90.00
_cell_angle_gamma 90.00
loop_
_atom_site_label
_atom_site_fract_x
_atom_site_fract_y
_atom_site_fract_z
In1 0.0000 0.0000 0.0000
As1 0.2500 0.2500 0.2500
Cl1 0.0000 0.0000 0.5000
# offset from the most stable computed form	230	meV/atom

[Response]
S3 0.2461 0.4532 0.1149
S4 0.2491 0.9567 0.4513
I1 0.0000 0.7022 0.9368
Cl1 0.0000 0.2047 0.6483
# uncorrected formation energy	-0.46	eV per atom
# M_tot	0.00	Bohr magnetons per cell
# ρ	6.34	Mg/m³
# DFT total energy	-4.485	eV/atom


Record 2
# SbAsI2Cl PBEsol optimized geometry
data_SbAsI2Cl
_symmetry_space_group_name_H-M 'P 4/m m m'
_symmetry_Int_Tables_number 123
_symmetry_space_group_name_Hall '-P 4 2'
_cell_length_a 5.5195
_cell_length_b 5.5195
_cell_length_c 5.3413
_cell_angle_alpha 90.00
_cell_angle_beta 90.00
_cell_angle_gamma 90.00
loop_
_atom_site_label
_atom_site_fract_x
_atom_site_fract_y
_atom_site_fract_z
Sb1 0.0000 0.0000 0.0000
As1 0.5000 0.5000 0.0000
I1 0.0000 0.5000 0.5000
Cl1 0.0000 0.0000 0.5000
# offset from the most stable computed form	595	meV/atom
# uncorrected formation energy	0.92	eV per atom
# M_tot	1.01	Bohr magnetons per cell
# ρ	4.96	Mg/m³
# DFT total energy	-2.121	eV/atom


Record 3
# SbAsI2Cl PBEsol optimized geometry
data_SbAsI2Cl
_symmetry_space_group_name_H-M 'P 4/m m m'
_symmetry_Int_Tables_number 123
_symmetry_space_group_name_Hall '-P 4 2'
_cell_length_a 5.4452
_cell_length_b 5.4452
_cell_length_c 5.5439
_cell_angle_alpha 90.00
_cell_angle_beta 90.00
_cell_angle_gamma 90.00
loop_
_atom_site_label
_atom_site_fract_x
_atom_site_fract_y
_atom_site_fract_z
Sb1 0.0000 0.0000 0.0000
As1 0.0000 0.0000 0.5000
I1 0.0000 0.5000 0.5000
Cl1 0.5000 0.5000 0.0000
# offset from the most stable computed form	0	meV/atom
# uncorrected formation energy	0.32	eV per atom
# M_tot	0.01	Bohr magnetons per cell
# ρ	4.91	Mg/m³
# DFT total energy	-2.716	eV/atom


Record 4
# As2SeICl PBEsol optimized geometry
data_As2SeICl
_symmetry_space_group_name_H-M 'P 4/m m m'
_symmetry_Int_Tables_number 123
_symmetry_space_group_name_Hall '-P 4 2'
_cell_length_a 5.0216
_cell_length_b 5.0216
_cell_length_c 4.9054
_cell_angle_alpha 90.00
_cell_angle_beta 90.00
_cell_angle_gamma 90.00
loop_
_atom_site_label
_atom_site_fract_x
_atom_site_fract_y
_atom_site_fract_z
As1 0.0000 0.5000 0.0000
Se1 0.0000 0.0000 0.5000
I1 0.5000 0.5000 0.5000
Cl1 0.0000 0.0000 0.0000
# uncorrected formation energy	0.97	eV per atom
# M_tot	0.00	Bohr magnetons per cell
# ρ	5.25	Mg/m³
# DFT total energy	-2.593	eV/atom


Record 5
# SiAsICl2 PBEsol optimized geometry
data_SiAsICl2
_symmetry_space_group_name_H-M 'P 4/m m m'
_symmetry_Int_Tables_number 123
_symmetry_space_group_name_Hall '-P 4 2'
_cell_length_a 4.5441
_cell_length_b 4.5441
_cell_length_c 5.4404
_cell_angle_alpha 90.00
_cell_angle_beta 90.00
_cell_angle_gamma 90.00
loop_
_atom_site_label
_atom_site_fract_x
_atom_site_fract_y
_atom_site_fract_z
Si1 0.0000 0.0000 0.0000
As1 0.0000 0.0000 0.5000
I1 0.5000 0.5000 0.5000
Cl1 0.0000 0.5000 0.0000
# uncorrected formation energy	-0.13	eV per atom
# M_tot	0.00	Bohr magnetons per cell
# ρ	4.45	Mg/m³
# DFT total energy	-3.454	eV/atom


Record 6
# InAs2Cl PBEsol optimized geometry
data_InAs2Cl
_symmetry_space_group_name_H-M 'F m -3 m'
_symmetry_Int_Tables_number 225
_symmetry_space_group_name_Hall '-F 4 2 3'
_cell_length_a 6.8229
_cell_length_b 6.8229
_cell_length_c 6.8229
_cell_angle_alpha 90.00
_cell_angle_beta 90.00
_cell_angle_gamma 90.00
loop_
_atom_site_label
_atom_site_fract_x
_atom_site_fract_y
_atom_site_fract_z
In1 0.0000 0.0000 0.0000
As1 0.2500 0.2500 0.2500
Cl1 0.0000 0.0000 0.5000
# offset from the most stable computed form	230	meV/atom